What to do >
Please count the lines further below that contain the word "Ce" and give the number alone.

Data >
- - -
[1]
Computed X-ray powder pattern
Compound: Ce2Sb3Pd5
Radiation: copper Kα
Structure: a DFT-relaxed cell (PBE, Alexandria)
Lines closer than 0.1° are merged.

Cell and atoms:
```
Ce2Sb3Pd5
1.0
2.295 -12.707 0.000
2.295 12.707 0.000
0.000 0.000 7.182
Ce Sb Pd
4 6 10
Cartesian
2.295 12.298 3.591
2.295 4.433 3.646
2.295 -4.433 0.055
2.295 -12.298 0.000
2.295 9.952 1.480
2.295 5.644 0.421
2.295 1.360 2.113
2.295 -1.360 5.704
2.295 -5.644 4.012
2.295 -9.952 5.071
2.295 9.924 5.744
2.295 7.455 2.516
2.295 7.090 5.428
2.295 3.023 7.118
2.295 1.270 4.908
2.295 -1.270 1.317
2.295 -3.023 3.527
2.295 -7.090 1.837
2.295 -7.455 6.107
2.295 -9.924 2.153
```

Most intense lines, 2θ from 10° to 80°, sorted by position:
2θ (°)  I_rel
32.69  20
33.40  100
33.87  57
37.39  33
37.54  19
39.26  52
40.26  18
45.39  22
64.84  19
67.47  19

[2]
Computed X-ray powder pattern
Compound: CeSbPd3
Radiation: copper Kα
Structure: a DFT-relaxed cell (PBE, Alexandria)
Lines closer than 0.1° are merged.

Cell and atoms:
```
CeSbPd3
1.0
-2.622 2.622 9.079
2.622 -2.622 9.079
2.622 2.622 -9.079
Ce Sb Pd
2 2 6
Cartesian
0.000 0.000 2.387
0.000 0.000 15.772
2.622 0.000 4.540
0.000 0.000 9.079
1.331 2.622 -2.263
1.291 0.000 6.816
2.622 1.331 2.263
0.000 2.622 0.864
0.000 1.291 11.343
0.000 2.622 8.216
```

Most intense lines, 2θ from 10° to 80°, sorted by position:
2θ (°)  I_rel
17.61  52
19.55  30
22.43  30
31.15  33
34.20  52
35.64  36
38.72  45
41.29  100
46.07  31
69.65  26

[3]
Computed X-ray powder pattern
Compound: CeSb2Pd4
Radiation: copper Kα
Structure: a DFT-relaxed cell (PBE, Alexandria)
Lines closer than 0.1° are merged.

Cell and atoms:
```
CeSb2Pd4
1.0
17.200 0.000 0.000
0.000 4.597 0.000
0.000 0.000 7.195
Ce Sb Pd
4 8 16
Cartesian
2.453 1.149 0.232
6.146 3.448 3.829
11.053 1.149 3.366
14.746 3.448 6.964
0.573 3.448 1.816
3.582 1.149 4.111
5.018 3.448 0.514
8.027 1.149 5.414
9.173 3.448 1.782
12.182 1.149 6.682
13.618 3.448 3.084
16.627 1.149 5.379
0.614 3.448 6.332
1.059 1.149 3.246
3.177 3.448 2.576
3.505 3.448 5.549
5.095 1.149 1.952
5.422 1.149 6.174
7.541 3.448 6.843
7.986 1.149 2.734
9.213 3.448 4.461
9.659 1.149 0.352
11.777 3.448 1.022
12.105 3.448 5.244
13.694 1.149 1.646
14.022 1.149 4.619
16.141 3.448 3.949
16.586 1.149 0.863
```

Most intense lines, 2θ from 10° to 80°, sorted by position:
2θ (°)  I_rel
32.02  24
33.30  100
34.88  96
35.34  22
36.96  29
38.72  32
39.20  89
41.28  34
43.87  86
44.99  25

[4]
Computed X-ray powder pattern
Compound: CeScPd4
Radiation: copper Kα
Structure: a DFT-relaxed cell (PBE, Alexandria)
Lines closer than 0.1° are merged.

Cell and atoms:
```
CeScPd4
1.0
7.777 0.000 0.000
0.000 4.193 0.000
0.000 0.000 13.723
Ce Sc Pd
4 4 16
Cartesian
1.706 1.048 0.709
2.182 3.145 7.571
5.595 1.048 6.153
6.070 3.145 13.014
1.682 3.145 3.640
2.207 1.048 10.501
5.570 3.145 3.222
6.095 1.048 10.084
0.076 1.048 12.075
0.216 1.048 8.035
0.289 3.145 10.102
1.842 1.048 5.536
2.046 3.145 12.397
3.600 1.048 3.241
3.673 3.145 1.173
3.813 3.145 5.214
3.964 1.048 8.510
4.104 1.048 12.550
4.177 3.145 10.482
5.730 1.048 1.326
5.935 3.145 8.187
7.488 1.048 3.621
7.561 3.145 5.688
7.701 3.145 1.648
```

Most intense lines, 2θ from 10° to 80°, sorted by position:
2θ (°)  I_rel
26.34  9
34.05  8
37.16  100
39.23  8
39.40  12
43.15  23
46.72  12
59.85  7
65.47  8
75.15  14

[5]
Computed X-ray powder pattern
Compound: Ce2PdSe4
Radiation: copper Kα
Structure: a DFT-relaxed cell (PBE, Alexandria)
Lines closer than 0.1° are merged.

Cell and atoms:
```
Ce2PdSe4
1.0
0.000 6.618 4.402
6.605 0.000 4.402
6.605 6.618 0.000
Ce Pd Se
4 2 8
Cartesian
6.898 3.601 4.402
9.615 6.910 6.603
6.313 9.635 4.402
3.596 6.326 6.603
6.605 6.618 5.495
9.908 9.927 7.695
5.516 1.844 2.521
10.998 5.154 4.722
8.454 7.721 4.081
11.756 8.825 6.282
4.757 5.516 4.081
1.090 4.774 2.521
8.060 11.030 6.282
2.213 8.083 4.722
```

Most intense lines, 2θ from 10° to 80°, sorted by position:
2θ (°)  I_rel
13.82  56
18.98  37
24.29  46
27.84  46
30.23  38
36.61  100
37.44  42
- - -

Result >
5